peak or top
At the bottom of the business cycle:
unemployment rate is high so that fewer people buy housing.
prices are low including the price of raw material.
both consumers and businesses act conservatively, being reluctant to commit themselves to long term borrowing or investment.
government policies are expansionary. for example, "real" interest rates are low and taxes are geared to encourage investment and employment. Those industries that do expand do so at a low cost after tax.
[Data records, kept here for reference]
~~~
A plane-wave DFT calculation with PBE was carried out for a relaxed structure of TaNiAu2.

The value obtained for the final energy is -24.080 eV/f.u. For the size of the total moment, the calculation gives 0.00 μB/atom. The formation enthalpy at 0 K is 0.027 eV/atom.

CIF file:
```
data_TaNiAu2
_chemical_formula_sum 'Ta1 Ni1 Au2'
_space_group_name_H-M_alt 'P 1'
_space_group_IT_number 1
_space_group_name_Hall 'P 1'
_cell_length_a 2.8829
_cell_length_b 3.7810
_cell_length_c 5.9381
_cell_angle_alpha 90.00
_cell_angle_beta 90.08
_cell_angle_gamma 90.00
loop_
_atom_site_label
_atom_site_fract_x
_atom_site_fract_y
_atom_site_fract_z
Ta1 0.0000 0.0000 0.0000
Ni1 0.0000 0.0000 0.5000
Au1 0.4993 0.5000 0.7359
Au2 0.5007 0.5000 0.2641
```

A plane-wave DFT calculation with PBE was carried out for a relaxed structure of TaNiAu2.

The value obtained for the final energy is -24.198 eV/f.u. For the size of the total moment, the calculation gives 0.00 μB/atom. The formation enthalpy at 0 K is -0.002 eV/atom.

CIF file:
```
data_TaNiAu2
_chemical_formula_sum 'Ta1 Ni1 Au2'
_space_group_name_H-M_alt 'P 1'
_space_group_IT_number 1
_space_group_name_Hall 'P 1'
_cell_length_a 4.8015
_cell_length_b 4.8015
_cell_length_c 4.8015
_cell_angle_alpha 129.53
_cell_angle_beta 129.53
_cell_angle_gamma 74.15
loop_
_atom_site_label
_atom_site_fract_x
_atom_site_fract_y
_atom_site_fract_z
Ta1 0.0000 0.0000 0.0000
Ni1 0.7500 0.2500 0.5000
Au1 0.2500 0.7500 0.5000
Au2 0.5000 0.5000 0.0000
```

A plane-wave DFT calculation with PBE was carried out for a relaxed structure of TaNi2Au2.

The value obtained for the final energy is -29.722 eV/f.u. For the size of the total moment, the calculation gives 0.00 μB/atom. The formation enthalpy at 0 K is 0.050 eV/atom.

CIF file:
```
data_TaNi2Au2
_chemical_formula_sum 'Ta2 Ni4 Au4'
_space_group_name_H-M_alt 'P 1'
_space_group_IT_number 1
_space_group_name_Hall 'P 1'
_cell_length_a 6.4919
_cell_length_b 6.4919
_cell_length_c 3.6276
_cell_angle_alpha 90.00
_cell_angle_beta 90.00
_cell_angle_gamma 90.00
loop_
_atom_site_label
_atom_site_fract_x
_atom_site_fract_y
_atom_site_fract_z
Ta1 0.0000 0.0000 0.0000
Ta2 0.5000 0.5000 0.0000
Ni1 0.1294 0.3706 0.0000
Ni2 0.3706 0.8706 0.0000
Ni3 0.6294 0.1294 0.0000
Ni4 0.8706 0.6294 0.0000
Au1 0.1704 0.6704 0.5000
Au2 0.3296 0.1704 0.5000
Au3 0.6704 0.8296 0.5000
Au4 0.8296 0.3296 0.5000
```

A plane-wave DFT calculation with PBE was carried out for a relaxed structure of TaNiAu2.

The value obtained for the final energy is -23.659 eV/f.u. For the size of the total moment, the calculation gives 0.00 μB/atom. The formation enthalpy at 0 K is 0.132 eV/atom.

CIF file:
```
data_TaNiAu2
_chemical_formula_sum 'Ta1 Ni1 Au2'
_space_group_name_H-M_alt 'P 1'
_space_group_IT_number 1
_space_group_name_Hall 'P 1'
_cell_length_a 4.9459
_cell_length_b 4.9459
_cell_length_c 2.8479
_cell_angle_alpha 90.14
_cell_angle_beta 90.14
_cell_angle_gamma 109.88
loop_
_atom_site_label
_atom_site_fract_x
_atom_site_fract_y
~~~
as more and more consumers and businesses sense an improvement in the economy they start to invest and buy more.
consumers buy more houses and expensive items such as prestige cars.
low interest rates allow affordable finance for both housing , goods and services.
as the economy expands businesses borrow more.
the price of goods rise in response to increased demand and increased costs
real estate activity reaches a high point and consumers become anxious to buy now "to beat rising prices".
fixed interest investments lose ground to more flexible investments such as property trusts.
the government expands social programs including public housing.
deficit spending continues and inflation raises. The government becomes concerned about rising inflation and the deficit, so that fiscal and monetary policies are implemented to dampen demand. That is, an increase in interest rates and a general tightening of money supply.
the first to feel the fiscal tightening is the consumer, credit unions, and banks as depositors remove their money to deposit into higher paying investments.
a number of firms and consumers are forced to sell assets to remain liquid.
real estate and construction activity moderates, workers are laid off as construction projects are aborted but some projects which began earlier, will continue to completion.
The recessionary phase is illustrated by:
high interest rates cause escalating costs which manufacturers try to pass onto the consumer.
inflation becomes the nation's "number one enemy" and the government tightens the money supply even further.
workers are laid off as companies can no longer afford the high interest rates, unemployment increases and demand for goods and services gradually decreases.
Calculated crystals from another source follow =
-- begin --
Material: CaMo2Ir
Method: DFT, GGA-PBE
State: relaxed

* raw total energy: -30.65 eV for the cell shown
* ΔE to the lowest computed polymorph: 21.63 kJ/mol of atoms

Lattice parameters (Å, degrees): 3.3956 3.3956 7.0253 90.00 90.00 90.00
Fractional coordinates of all 4 atoms:
Ca1 0.0000 0.0000 0.0000
Mo1 0.5000 0.5000 0.3303
Mo2 0.5000 0.5000 0.6697
Ir1 0.0000 0.0000 0.5000

---

Material: CaMo2Ir
Method: DFT, GGA-PBE
State: relaxed

* raw total energy: -31.45 eV for the cell shown
* ΔE to the lowest computed polymorph: 2.45 kJ/mol of atoms

Lattice parameters (Å, degrees): 5.9029 5.9029 4.7000 113.34 113.34 28.85
Fractional coordinates of all 4 atoms:
Ca1 0.0000 0.0000 0.0000
Mo1 0.2194 0.2194 0.7193
Mo2 0.7806 0.7806 0.2807
Ir1 0.5000 0.5000 0.5000

---

Material: CaMoIr
Method: DFT, GGA-PBE
State: relaxed

* raw total energy: -20.61 eV for the cell shown
* ΔE to the lowest computed polymorph: 20.16 kJ/mol of atoms

Lattice parameters (Å, degrees): 4.5771 4.5771 3.0251 90.00 90.00 120.00
Fractional coordinates of all 3 atoms:
Ca1 0.0000 0.0000 0.0000
Mo1 0.3333 0.6667 0.6016
Ir1 0.6667 0.3333 0.4257

---

Material: CaMo2Ir
Method: DFT, GGA-PBE
State: relaxed

* raw total energy: -31.16 eV for the cell shown
* ΔE to the lowest computed polymorph: 9.39 kJ/mol of atoms

Lattice parameters (Å, degrees): 5.0438 5.0438 5.4882 105.74 105.74 34.91
Fractional coordinates of all 4 atoms:
Ca1 0.0000 0.0000 0.0000
Mo1 0.2098 0.2098 0.6596
Mo2 0.4964 0.4964 0.4910
Ir1 0.7670 0.7670 0.2973

----------

No. 1
The following is a DFT calculation (GGA-PBE) of Be3TcIr after structural relaxation.

Cell and atoms, written as extended XYZ:
```
5
Lattice="4.004 0.000 0.000 0.000 4.004 0.000 0.000 0.000 4.004" Properties=species:S:1:pos:R:3 pbc="T T T"
Be 0.000 0.000 2.002
Be 0.000 2.002 0.000
Be 2.002 0.000 0.000
Tc 0.000 0.000 0.000
Ir 2.002 2.002 2.002
```

Output
**VASP energy**: -5.018 eV/atom
**SG**: Pm-3m, No. 221
**Energy above the lowest structure with this stoichiometry**: 0.445 eV per atom



No. 2
The following is a DFT calculation (GGA-PBE) of Be2Tc2Ir after structural relaxation.

Cell and atoms, written as extended XYZ:
```
10
Lattice="6.180 0.000 0.000 0.000 6.180 0.000 0.000 0.000 3.056" Properties=species:S:1:pos:R:3 pbc="T T T"
Be 0.767 2.323 0.000
Be 2.323 5.413 0.000
Be 3.857 0.767 0.000
Be 5.413 3.857 0.000
Tc 1.043 4.133 1.528
Tc 2.047 1.043 1.528
Tc 4.133 5.136 1.528
Tc 5.136 2.047 1.528
Ir 0.000 0.000 0.000
Ir 3.090 3.090 0.000
```

Output
**VASP energy**: -7.637 eV/atom
**SG**: P4/mbm, No. 127



Number 1: magnetic moment 0.00 Bohr magnetons per cell, formation energy from the elements 1.063 eV per atom. Number 2: magnetic moment 0.00 Bohr magnetons per cell, formation energy from the elements -0.228 eV per atom.

----------

[1]
A geometry-optimized TiGeAs2Br structure, computed with PBE.

Unit cell a=4.9657 b=4.9657 c=4.9969 alpha=90.00 beta=90.00 gamma=90.00
Element x y z (fractional)
1 Ti 0.0000 0.0000 0.0000
2 Ge 0.5000 0.5000 0.5000
-- stop --
pressure is put on the government to ease monetary policy, it reluctantly agrees by reducing interest rates but the real rate (nominal rate less inflation) is still high.
business curtails development and expansion.
consumers stay out of the market place.
The cycle shows how important r1scal and monetary policy is in the real estate market and this sensitivity is utilized by governments to indirectly control the economy. Real estate gets the residual money available after governments and business. This accentuates the real estate cycle which is more exaggerated than the business cycle. Investment in real estate is subject to the following disadvantages compared to the more flexible and liquid investments such as shares:
ILLIQUID: Real estate by its nature cannot be quickly converted into cash. The long lead time increases the risk of investment and therefore, the investor requires a higher rate of return as compensation.
IMPERFECT KNOWLEDGE: The real estate investor does not readily know the value of a real estate investment at any one time. However, it should be recognised that there is no such thing as a "perfect" market in any investment field. The oft quoted share market as an example of a high level of knowledge (because of daily quoted company share prices) is exaggerated as the sharemarket investor has an intangible right in a company and few stock market investors understand at the higher level, the complexities of company law and published financial statements of companies.
On the other hand, the tangible nature of real estate, the role of the agent as middle man and a number of other reasons effectively raises the knowledge of real estate investors to a higher level than that admitted by most valuation and economic commentators.